JULIA: What was your path to publication? Did you work your way through
small presses? Land a deal with a major press? Win a contest? Everyone has a different story to tell.AVERY: My story is different than most. I started as an actress and TV and screenwriter. I was lucky enough to get a show on the air called “Out of this World,” for which I created the format, but soon after, my husband needed to move out of California for his career. It’s hard to do “Hollywood meetings” 3,000 miles away, so I focused on my next love, which was writing mysteries and thrillers. I wrote a number of them and I submitted them to agent after agent. Though I found plenty of agents that liked my writing, none felt that he/she could sell what I’d written. I was “close” they told me. Years of this went on (I actually won a queen of rejection contest from my online Sisters in Crime group, Guppies – you have to be rejected a LOT to win. Personally I like to call it queen of perseverance). Finally I was so frustrated writing what I wanted to write that I decided to “write to the market.” Cozies with strong hooks were selling. At the same time, I had a discussion with an agent with whom I’d connected about the work-for-hire market. A work-for-hire is writing a book using a “hook” that a publisher creates. Remember I was a screenwriter first. In Hollywood a producer could say, “I really like your heart-wrenching drama, but could you write Shrek instead?” [Hint: the answer is, “Sure!”] Lo and behold, about three months later when I decided I had suffered enough rejection and had given up hope of ever becoming a published writer and I was ready to QUIT, the agent called me and said Berkley Prime Crime was looking for an author who could write about a cheese shop proprietor. I had catered and I had run restaurants. I was a gourmet cook and I loved cheese. I said, “Sure!” [I’m a quick study.] The rest is history. I received an offer, I wrote the first book, and it’s a success. So as Avery Aames, I write cozies.
JULIA: "Write what you know" is the oldest piece of advice around. Is your mystery based on your own interests/vocation/experiences?
AVERY: As I said above, I had catered and run restaurants. I am a gourmet cook. I adore cheese. I have to do a lot of research about cheese (poor me). In addition, the grandmother in the series runs the local theater. As an actress, I know the ins and outs of theater. So yes, I’m writing what I know…within reason.
=====
Pt2RhAu: relaxed, PBE.

Geometry as CIF:
```
data_Pt2RhAu
_cell_length_a 4.867
_cell_length_b 4.867
_cell_length_c 4.867
_cell_angle_alpha 131.49
_cell_angle_beta 131.49
_cell_angle_gamma 71.03
_symmetry_space_group_name_H-M 'P 1'
_symmetry_Int_Tables_number 1
loop_
_symmetry_equiv_pos_as_xyz
'x,y,z'
loop_
_atom_site_label
_atom_site_type_symbol
_atom_site_fract_x
_atom_site_fract_y
_atom_site_fract_z
_atom_site_occupancy
Pt1 Pt 0.000 0.000 0.000 1
Pt2 Pt 0.250 0.750 0.500 1
Rh1 Rh 0.500 0.500 0.000 1
Au1 Au 0.750 0.250 0.500 1
```

DFT total energy: -22.37 eV for the cell shown
Theoretical density: 18.093 Mg/m³


Pt2RhAu: relaxed, PBE.

Geometry as CIF:
```
data_Pt2RhAu
_cell_length_a 4.901
_cell_length_b 4.901
_cell_length_c 2.811
_cell_angle_alpha 90.01
_cell_angle_beta 90.01
_cell_angle_gamma 110.12
_symmetry_space_group_name_H-M 'P 1'
_symmetry_Int_Tables_number 1
loop_
_symmetry_equiv_pos_as_xyz
'x,y,z'
loop_
_atom_site_label
_atom_site_type_symbol
_atom_site_fract_x
_atom_site_fract_y
_atom_site_fract_z
_atom_site_occupancy
Pt1 Pt 0.500 0.000 0.000 1
Pt2 Pt 0.000 0.500 0.000 1
Au1 Au 0.500 0.500 0.500 1
Rh1 Rh 0.000 0.000 0.500 1
```

DFT total energy: -22.38 eV for the cell shown
Theoretical density: 18.077 Mg/m³


Pt2RhAu: relaxed, PBE.

Geometry as CIF:
```
data_Pt2RhAu
_cell_length_a 2.805
_cell_length_b 2.805
_cell_length_c 9.484
_cell_angle_alpha 81.50
_cell_angle_beta 81.50
_cell_angle_gamma 60.00
_symmetry_space_group_name_H-M 'P 1'
_symmetry_Int_Tables_number 1
loop_
_symmetry_equiv_pos_as_xyz
'x,y,z'
loop_
_atom_site_label
_atom_site_type_symbol
_atom_site_fract_x
_atom_site_fract_y
_atom_site_fract_z
_atom_site_occupancy
Pt1 Pt 0.087 0.087 0.739 1
Pt2 Pt 0.246 0.246 0.261 1
Rh1 Rh 0.500 0.500 0.501 1
Au1 Au 0.667 0.667 0.999 1
```

DFT total energy: -22.47 eV for the cell shown
Theoretical density: 18.001 Mg/m³


What is the DFT total energy in the first record?
-22.37 eV for the cell shown


theoretical density of number 2 (Pt2RhAu)?
18.077 Mg/m³


Repeat the third record exactly.
Pt2RhAu: relaxed, PBE.

Geometry as CIF:
```
data_Pt2RhAu
_cell_length_a 2.805
_cell_length_b 2.805
_cell_length_c 9.484
_cell_angle_alpha 81.50
_cell_angle_beta 81.50
_cell_angle_gamma 60.00
_symmetry_space_group_name_H-M 'P 1'
_symmetry_Int_Tables_number 1
loop_
_symmetry_equiv_pos_as_xyz
'x,y,z'
loop_
_atom_site_label
_atom_site_type_symbol
_atom_site_fract_x
_atom_site_fract_y
_atom_site_fract_z
_atom_site_occupancy
Pt1 Pt 0.087 0.087 0.739 1
Pt2 Pt 0.246 0.246 0.261 1
Rh1 Rh 0.500 0.500 0.501 1
Au1 Au 0.667 0.667 0.999 1
```

DFT total energy: -22.47 eV for the cell shown
Theoretical density: 18.001 Mg/m³

* * * * *

Entry 1:
An optimized crystal structure of Be2CrPt. Source: Alexandria via LeMat-Bulk, functional PBE.

Magnetic moment   0.05 μB per atom
Energy of formation   -86.3 kJ/mol of formula units

POSCAR file:
```
Be2CrPt
1.0
2.694 0.000 0.000
0.000 2.694 0.000
0.000 0.000 5.922
Be Cr Pt
2 1 1
direct
0.000 0.000 0.000
0.500 0.500 0.186
=====
JULIA: Tell us a bit about your background in short stories and screenplays. Were there any challenges in writing a full-length mystery like The Long Quiche Goodbye?
AVERY: A screenplay has got to have structure; it must be told visually in a short amount of time. In essence, it looks like an outline for a novel. There aren’t a lot of feelings added to the page; not a lot of description, either. Those are for the actors and the directors to create. Short stories also have to have structure and, let’s face it, they can’t have as many words as a novel, so I approach them in much the same way as I do a screenplay. How can I tell this story in the least words possible? As far as writing a novel is concerned, I like to start every one with an outline. I feel comfortable with structure. Then I expand on that story with feelings, descriptions, and action. The beauty of writing a novel is that you can be the actor, director, and writer all in one. You get to tell the whole story, every facet. That said, I still enjoy all forms of writing and--big reveal--I dream in ‘screenplay’ format.
JULIA: How much thought and planning did you put into Quiche as the first in a series? (I only discovered the term "story arc" after I was told my book would actually be published.)AVERY: I put a lot of planning into the series. As a work-for-hire, I was given a “bible” that included some of the back story for characters, but it did not include any future stories or any arcs for the characters. I immediately thought of threads that would take my character through some life challenges for book two. While writing book two, I thought about book three, and so on. There are threads that need to be woven together, answers that need to be explained in each book. It’s like watching a life evolve. There is not a sweet wrap-up at the end of the book. Like a serial of any kind, there has to be something intriguing at the end of the book to bring the reader back for more. And yes, I’ve included a romance (or two or three) in the series, so those threads play out over the course of time.
JULIA: What's your writing process? Outline or organic?
AVERY: Once I have an outline, I write organically, does that make sense? I like to have a road map when I’m driving, but often I’ll take detours, as long as I know how to get back to the main road. I love to sightsee. Many times I’ll be adhering to my outline and realize that this scene or this thread needs to be inserted. It’s fun. I’m always delighted when my characters “surprise” me with a new scene, especially if it’s funnier or more action-packed than my outlined scene. For example, there’s a scene between Charlotte and Rebecca around a garbage dumpster. That specific locale was not in the outline. {P.S. my editor likes to see a full outline so she knows where the book is headed. Not all editors need this, but she does, and we agree on so much.}
JULIA: Having your debut mystery nominated for an Agatha is an amazing experience. There were only about 15 gazillion mysteries published last year. What did you do when you found out?
AVERY: I found out in late February and had to keep quiet until the nominations were announced. Hard to do!! I’m so thrilled, and as they say on the Oscars, it really is an honor to be nominated. I’m in good company. I know all of the other “best first” authors, and they write beautifully! Yes, there are a gazillion mysteries published; however, only people who attend Malice Domestic are the ones who get to vote for the Agatha Awards, and the conference attendees have their favorites. I think nominees are often “known” within the community. I’ve been attending Malice for a few years, and I’ve made some wonderful author and fan friends. What is loveliest about this nomination is how excited the fans have been for me.
JULIA: I really enjoyed your series video trailer on Amazon. What gave you the idea, and how was it put together?
AVERY: Thank you so much. Trailers are fun, fun, fun! Because I come from a screenplay background, I decided to make the movie myself. It’s another artistic way for me to express myself. Combining artwork and storytelling and music is stimulating. I’m not sure whether a trailer will ever sell a book, but it’s something different to offer a fan who visits my website. There are sneak previews and trailers and book club questions and recipes and photographs on the website, as well. For the trailer, I took Mac classes in moviemaking to learn the best techniques; however, there’s still so much to learn. Don’t look for me wining an Oscar for editing anytime soon. {Note: making a trailer is like writing a short story. You can’t be verbose. You have a minimum of time, no longer than a minute, to intrigue the reader.}
JULIA: How did there come to be so many cheeses in the world? The sheer variety is staggering. And what can cheese be made from besides milk from Elsie?
AVERY: Elsie! Too cute. For centuries, cheese has been popular in Europe. Large manufacturers of cheese have existed for a long time in America. But the boom in America and elsewhere to make artisanal cheeses is, indeed, staggering. Artisanal farms are springing up everywhere. According to the American Cheese Society, “Artisan or artisanal implies that a cheese is produced primarily by hand, in small batches, with particular attention paid to the tradition of the cheesemaker’s art, and thus using as little mechanization as possible in the production of the cheese.” I think the allure is that not everyone needs to raise a huge herd to make a good cheese. And the variety of locations and therefore the variety of tastes enhances this allure. Terroir, the French word for "earth" which denotes the characteristics bestowed by climate, geography, and geology upon a region, is what counts. What the cows, goats, or sheep feed on makes the cheese taste special. If they eat clover or lemon-grass or live in a rocky versus flat lush area, it translates into a flavor in the cheese. In addition to the big three, you will also find buffalo milk cheese and in rare instances camel milk cheese. By the way, I tried my hand at making ricotta cheese from scratch. It turned out delicious, but it was hard work.
JULIA: What's next? What are you working on?
AVERY: Book 2, LOST AND FONDUE, comes out in May. Book 3, CLOBBERED BY CAMEMBERT, is in the editing process at the publishers. I’m just starting Book 4: TITLE TO BE DECIDED. {Yes, I make up all my own titles.} I’m also finishing up a thriller that means a lot to me. I love writing thrillers. Who knows if it’ll sell? I’ll be dedicating it to my nephew, whose life’s journey gave me the impetus for the story. I’m also writing short stories occasionally, when the mood strikes.
JULIA: Do you blog? Enjoy social media? Where can we visit you?
AVERY: Yes, I blog at Mystery Lovers Kitchen, a blog for writers who love to cook up crime. (Recipes included) http://www.mysteryloverskitchen.com
I also blog at Killer Characters, a blog where authors’ characters steal the limelight.
I’m on Facebook and Twitter as Avery Aames and as Daryl Wood Gerber. @AveryAames @DarylWoodGerber
I have websites for both Avery and Daryl. While Avery shares trailers and sneak previews, Daryl offers up short stories and podcasts of short stories. Someday, she might put up a free PDF of one of her thrillers…just because she’d like to share one even if it isn’t “officially” published.
Have we whetted your appetite? At Avery’s website, you can read excerpts of The Long Quiche Goodbye and Lost and Fondue, watch a how-to-make-a-fondue video, download recipes - even print out a bookmark. We hope you’ll take the time to ask Avery a question or two...after you’ve run out to the kitchen to make yourself a brie-and-crackers snack!
Hi Avery, congratulations on your nomination, and best of luck on awards night! How fun that you worked on "Out of This World" back in the day--that show was one my favorites when I was in 4th grade (back in 1989-90). I always wished I had Evie's power to stop time.
ReplyDeleteSince you worked with a highly structured medium in screenwriting for so many years, was it difficult for you to make the transition to novels? Or did you treat the outlining in a similar way? Speaking as someone who isn't as strong on story structure compared to character development and world-building, I'd love to hear some of your advice on nailing down a clear story arc more painlessly. For me, it's often difficult to filter out the details I want to include for the sake of the larger picture.
I'll definitely be looking for your book the next time I head to the bookstore! (I'm quite fond of cheese, myself, and am fortunate to live in the Pacific Northwest, where I regularly get Rogue River Creamy's assorted blue cheese offerings. Yum!)
Oh Rebecca, you're making me drool...
ReplyDeleteAvery, I agree with Rebecca--you're lucky to have that screenwriting background. For me too, the hardest part is the story--arguably the most important!
And I do love your trailer. Maybe it will inspire me to go up to the mac store and take a class...
Avery, congratulations on your (well-deserved) Agatha nomination! I had no idea you were an actress! I likely saw you on TV--I've probably seen every episode of Murder She Wrote at least twice. :)
ReplyDeleteGreat interview!!
YAY, Avery! Remember when we were just starting out? COngratulations...and now, maybe off to make a grilled cheese. Any grilled cheese secrets??
Love the trailer!!! Very fun and clever.
ReplyDeleteAnd I LOVE cheese. . .OMG, if anyone ever told me I had to give up cheese, I'd--well, we won't even go there.
But your series is going on my "to read" list, and good luck at the Agatha's.
Welcome Avery,
ReplyDeleteCongrats on your nomination. I think I'm more of a sucker for cheese than for ice cream - your books must be delicious.
Good luck on the Agathas.
Congrats Avery and I would love to read one of your (Daryl's) thrillers.
ReplyDeleteI loved reading about your unusual route to publication, Avery. And I'm thrilled about your Agatha nomination! You are one of the most tireless writers I know; your energy and enthusiasm is contagious.
ReplyDeleteCan't wait to read LOST AND FONDUE - best of luck on the upcoming release.